+++
[1]
For FeGe4H24C8S10N2, DFT lattice parameters and positions (GGA-PBE) gives the simulated powder diffractogram in this record (CuKα).
Kinematic intensities with the Lorentz-polarization factor, no thermal factor.

Largest 6 diffraction maxima, in order of rising 2θ, 10 to 80 degrees two-theta:
- 11.0°, d 8.015, I 100
- 17.8°, d 4.970, I 47
- 21.6°, d 4.112, I 20
- 22.2°, d 4.007, I 29
- 27.7°, d 3.218, I 63
- 47.9°, d 1.899, I 23

Atomic structure:
```
FeGe4H24C8S10N2
1.0
-4.791 4.791 7.312
4.791 -4.791 7.312
4.791 4.791 -7.312
Fe Ge H C S N
1 4 24 8 10 2
direct
0.000 0.000 0.000
0.095 0.839 0.612
0.161 0.774 0.256
0.226 0.482 0.388
0.518 0.905 0.744
0.238 0.412 0.803
0.331 0.263 0.839
0.335 0.304 0.687
0.352 0.665 0.968
0.424 0.492 0.161
0.508 0.669 0.932
0.535 0.048 0.320
0.566 0.762 0.175
0.573 0.366 0.397
0.588 0.391 0.825
0.603 0.332 0.602
0.609 0.434 0.197
0.617 0.648 0.313
0.634 0.031 0.207
0.668 0.270 0.271
0.696 0.383 0.032
0.728 0.215 0.680
0.730 0.001 0.398
0.737 0.576 0.068
0.785 0.465 0.513
0.824 0.427 0.793
0.952 0.272 0.487
0.969 0.176 0.603
0.999 0.397 0.729
0.340 0.359 0.819
0.480 0.660 0.020
0.540 0.520 0.181
0.641 0.460 0.980
0.655 0.068 0.343
0.689 0.345 0.414
0.725 0.311 0.657
0.932 0.275 0.586
0.001 0.864 0.365
0.068 0.568 0.500
0.068 0.774 0.999
0.136 0.501 0.137
0.226 0.225 0.294
0.364 0.999 0.863
0.432 0.932 0.500
0.499 0.636 0.635
0.775 0.069 0.001
0.931 0.932 0.706
0.500 0.500 0.000
0.750 0.250 0.500
```

[2]
For CaMg3Si4O12, DFT lattice parameters and positions (GGA-PBE) gives the simulated powder diffractogram in this record (CuKα).
Kinematic intensities with the Lorentz-polarization factor, no thermal factor.

Largest 6 diffraction maxima, in order of rising 2θ, 10 to 80 degrees two-theta:
- 27.4°, d 3.251, I 33
- 29.4°, d 3.042, I 100
- 30.2°, d 2.958, I 78
- 35.4°, d 2.532, I 39
- 35.8°, d 2.507, I 34
- 55.8°, d 1.647, I 42

Atomic structure:
```
CaMg3Si4O12
1.0
4.939 -4.498 0.000
4.939 4.498 0.000
-1.619 0.000 5.064
Ca Mg Si O
1 3 4 12
direct
0.000 0.000 0.000
0.204 0.796 0.500
0.393 0.607 0.000
0.554 0.446 0.500
0.104 0.317 0.507
0.500 0.083 0.000
0.683 0.896 0.493
0.917 0.500 0.000
0.090 0.672 0.102
0.189 0.084 0.423
0.276 0.492 0.605
0.328 0.910 0.898
0.432 0.320 0.110
0.508 0.724 0.395
0.636 0.065 0.764
0.675 0.026 0.258
0.680 0.568 0.890
0.916 0.811 0.577
0.935 0.364 0.236
0.974 0.325 0.742
```

[3]
For LiEr2Os, DFT lattice parameters and positions (GGA-PBE) gives the simulated powder diffractogram in this record (CuKα).
Kinematic intensities with the Lorentz-polarization factor, no thermal factor.

Largest 6 diffraction maxima, in order of rising 2θ, 10 to 80 degrees two-theta:
- 22.4°, d 3.966, I 29
- 37.0°, d 2.429, I 100
- 43.7°, d 2.071, I 15
- 53.4°, d 1.717, I 18
- 66.7°, d 1.402, I 36
- 78.8°, d 1.214, I 11

Atomic structure:
```
LiEr2Os
1.0
0.000 3.434 3.434
3.434 0.000 3.434
3.434 3.434 0.000
Li Er Os
1 2 1
direct
0.000 0.000 0.000
0.250 0.250 0.250
0.750 0.750 0.750
0.500 0.500 0.500
```

[4]
For Rb2BeF4, DFT lattice parameters and positions (GGA-PBE) gives the simulated powder diffractogram in this record (CuKα).
Kinematic intensities with the Lorentz-polarization factor, no thermal factor.

Largest 6 diffraction maxima, in order of rising 2θ, 10 to 80 degrees two-theta:
- 25.3°, d 3.519, I 75
- 28.6°, d 3.118, I 100
- 29.6°, d 3.019, I 69
- 29.8°, d 2.994, I 64
- 35.6°, d 2.519, I 55
- 36.4°, d 2.466, I 42

Atomic structure:
```
Rb2BeF4
1.0
7.783 0.000 0.000
0.000 10.488 0.000
0.000 0.000 5.988
Rb Be F
8 4 16
direct
0.003 0.189 0.000
0.161 0.412 0.497
0.339 0.912 0.997
0.497 0.689 0.500
0.503 0.311 0.000
0.661 0.088 0.497
0.839 0.588 0.997
0.997 0.811 0.500
0.233 0.087 0.496
0.267 0.587 0.996
0.733 0.413 0.496
0.767 0.913 0.996
0.033 0.084 0.485
0.188 0.448 0.994
0.195 0.661 0.788
0.205 0.655 0.217
0.295 0.155 0.717
0.305 0.161 0.288
0.312 0.948 0.494
0.467 0.584 0.985
0.533 0.416 0.485
0.688 0.052 0.994
0.695 0.839 0.788
0.705 0.845 0.217
0.795 0.345 0.717
+++

What is needed: count the lines above that contain the word "diffraction" and give the number alone.

4